**What to do:**
Your job: start at the top of the calculation results further down and print each line, ending with the one that has "----------".

**Contents:**
+++
[1]
{"formula": "DySc2CdO", "functional": "PBE", "state": "optimized geometry", "m_tot_mub_per_fu": 0.000, "vol_a3_per_fu": 96, "raw_formation_energy_ev_per_atom": -1.3558, "cell": [[-0.457, 4.525, 1.253], [-3.912, 0.222, -2.228], [-2.196, -1.255, 3.731]], "species": ["Dy", "Sc", "Sc", "Cd", "O"], "fractional_positions": [[0.500, 0.000, 0.000], [0.000, 0.000, 0.500], [0.000, 0.500, 0.000], [0.500, 0.500, 0.500], [0.000, 0.000, 0.000]]}

***

[2]
{"formula": "SrMgCl", "functional": "PBE", "state": "optimized geometry", "m_tot_mub_per_fu": 0.308, "vol_a3_per_fu": 100, "raw_formation_energy_ev_per_atom": -0.6578, "polymorph_energy_ev_per_fu": 0.723, "cell": [[5.206, 0.000, 0.000], [2.603, 4.508, 0.000], [2.603, 1.503, 4.250]], "species": ["Cl", "Mg", "Sr"], "fractional_positions": [[0.750, 0.750, 0.750], [0.000, 0.000, 0.000], [0.500, 0.500, 0.500]]}

***

[3]
{"formula": "Ca2AsO5", "functional": "PBE", "state": "optimized geometry", "m_tot_mub_per_fu": 1.028, "vol_a3_per_fu": 117, "raw_formation_energy_ev_per_atom": -1.9601, "cell": [[-1.666, 3.294, 1.507], [-2.890, -4.848, 2.127], [6.526, -0.370, 8.020]], "species": ["Ca", "Ca", "Ca", "Ca", "As", "As", "O", "O", "O", "O", "O", "O", "O", "O", "O", "O"], "fractional_positions": [[0.859, 0.718, 0.426], [0.859, 0.718, 0.074], [0.141, 0.282, 0.574], [0.141, 0.282, 0.926], [0.836, 0.672, 0.750], [0.164, 0.328, 0.250], [0.949, 0.898, 0.871], [0.949, 0.898, 0.629], [0.272, 0.544, 0.383], [0.272, 0.544, 0.117], [0.699, 0.397, 0.250], [0.301, 0.603, 0.750], [0.728, 0.456, 0.617], [0.728, 0.456, 0.883], [0.051, 0.102, 0.129], [0.051, 0.102, 0.371]]}

***

[4]
{"formula": "EuPuAl2", "functional": "PBE", "state": "optimized geometry", "m_tot_mub_per_fu": 12.751, "e_form_ev_per_atom": -0.1325, "vol_a3_per_fu": 99, "polymorph_energy_ev_per_fu": 0.000, "cell": [[-1.651, -1.939, -2.593], [2.127, -2.844, 0.773], [-5.055, -2.416, 5.025]], "species": ["Eu", "Al", "Al", "Pu"], "fractional_positions": [[0.500, 0.500, 0.500], [0.000, 0.000, 0.769], [0.000, 0.000, 0.231], [0.500, 0.500, 0.000]]}

***

[5]
{"formula": "Pm4Sm2YSc", "functional": "PBE", "state": "optimized geometry", "m_tot_mub_per_fu": 0.000, "e_form_ev_per_atom": 0.0285, "vol_a3_per_fu": 261, "cell": [[5.103, 0.000, 0.000], [0.000, 4.967, 1.089], [0.000, 2.823, 10.906]], "species": ["Pm", "Pm", "Pm", "Pm", "Sm", "Sm", "Y", "Sc"], "fractional_positions": [[0.000, 0.756, 0.744], [0.000, 0.244, 0.256], [0.500, 0.745, 0.255], [0.500, 0.255, 0.745], [0.000, 0.000, 0.000], [0.500, 0.000, 0.500], [0.500, 0.500, 0.000], [0.000, 0.500, 0.500]]}

***

[6]
{"formula": "Cr3TcNi", "functional": "PBE", "state": "optimized geometry", "m_tot_mub_per_fu": 0.180, "e_form_ev_per_atom": 1.7193, "vol_a3_per_fu": 84, "polymorph_energy_ev_per_fu": 1.320, "cell": [[4.382, 0.000, 0.000], [0.000, 4.382, 0.000], [0.000, 0.000, 4.382]], "species": ["Ni", "Tc", "Cr", "Cr", "Cr"], "fractional_positions": [[0.500, 0.500, 0.500], [0.000, 0.000, 0.000], [0.000, 0.500, 0.000], [0.000, 0.000, 0.500], [0.500, 0.000, 0.000]]}

***

> Which formula does entry 5 have?

Pm4Sm2YSc

***

Please write out number 1 again, unchanged.
{"formula": "DySc2CdO", "functional": "PBE", "state": "optimized geometry", "m_tot_mub_per_fu": 0.000, "vol_a3_per_fu": 96, "raw_formation_energy_ev_per_atom": -1.3558, "cell": [[-0.457, 4.525, 1.253], [-3.912, 0.222, -2.228], [-2.196, -1.255, 3.731]], "species": ["Dy", "Sc", "Sc", "Cd", "O"], "fractional_positions": [[0.500, 0.000, 0.000], [0.000, 0.000, 0.500], [0.000, 0.500, 0.000], [0.500, 0.500, 0.500], [0.000, 0.000, 0.000]]}

----------

[1]
Below is an optimized crystal structure of TaAs2Se, with properties calculated at the GGA-PBE level. Values from VASP.

The spin magnetization comes out at 0.0000 μB/atom. As for the final energy: -6.19 eV/atom. Its formation energy without anion corrections is -0.028 eV per atom.

The structure in Quantum ESPRESSO input format:
```
&SYSTEM
  ibrav = 0, nat = 4, ntyp = 3
/
ATOMIC_SPECIES
Ta 180.95 Ta.upf
+++

**Reply:**
[1]
{"formula": "DySc2CdO", "functional": "PBE", "state": "optimized geometry", "m_tot_mub_per_fu": 0.000, "vol_a3_per_fu": 96, "raw_formation_energy_ev_per_atom": -1.3558, "cell": [[-0.457, 4.525, 1.253], [-3.912, 0.222, -2.228], [-2.196, -1.255, 3.731]], "species": ["Dy", "Sc", "Sc", "Cd", "O"], "fractional_positions": [[0.500, 0.000, 0.000], [0.000, 0.000, 0.500], [0.000, 0.500, 0.000], [0.500, 0.500, 0.500], [0.000, 0.000, 0.000]]}

***

[2]
{"formula": "SrMgCl", "functional": "PBE", "state": "optimized geometry", "m_tot_mub_per_fu": 0.308, "vol_a3_per_fu": 100, "raw_formation_energy_ev_per_atom": -0.6578, "polymorph_energy_ev_per_fu": 0.723, "cell": [[5.206, 0.000, 0.000], [2.603, 4.508, 0.000], [2.603, 1.503, 4.250]], "species": ["Cl", "Mg", "Sr"], "fractional_positions": [[0.750, 0.750, 0.750], [0.000, 0.000, 0.000], [0.500, 0.500, 0.500]]}

***

[3]
{"formula": "Ca2AsO5", "functional": "PBE", "state": "optimized geometry", "m_tot_mub_per_fu": 1.028, "vol_a3_per_fu": 117, "raw_formation_energy_ev_per_atom": -1.9601, "cell": [[-1.666, 3.294, 1.507], [-2.890, -4.848, 2.127], [6.526, -0.370, 8.020]], "species": ["Ca", "Ca", "Ca", "Ca", "As", "As", "O", "O", "O", "O", "O", "O", "O", "O", "O", "O"], "fractional_positions": [[0.859, 0.718, 0.426], [0.859, 0.718, 0.074], [0.141, 0.282, 0.574], [0.141, 0.282, 0.926], [0.836, 0.672, 0.750], [0.164, 0.328, 0.250], [0.949, 0.898, 0.871], [0.949, 0.898, 0.629], [0.272, 0.544, 0.383], [0.272, 0.544, 0.117], [0.699, 0.397, 0.250], [0.301, 0.603, 0.750], [0.728, 0.456, 0.617], [0.728, 0.456, 0.883], [0.051, 0.102, 0.129], [0.051, 0.102, 0.371]]}

***

[4]
{"formula": "EuPuAl2", "functional": "PBE", "state": "optimized geometry", "m_tot_mub_per_fu": 12.751, "e_form_ev_per_atom": -0.1325, "vol_a3_per_fu": 99, "polymorph_energy_ev_per_fu": 0.000, "cell": [[-1.651, -1.939, -2.593], [2.127, -2.844, 0.773], [-5.055, -2.416, 5.025]], "species": ["Eu", "Al", "Al", "Pu"], "fractional_positions": [[0.500, 0.500, 0.500], [0.000, 0.000, 0.769], [0.000, 0.000, 0.231], [0.500, 0.500, 0.000]]}

***

[5]
{"formula": "Pm4Sm2YSc", "functional": "PBE", "state": "optimized geometry", "m_tot_mub_per_fu": 0.000, "e_form_ev_per_atom": 0.0285, "vol_a3_per_fu": 261, "cell": [[5.103, 0.000, 0.000], [0.000, 4.967, 1.089], [0.000, 2.823, 10.906]], "species": ["Pm", "Pm", "Pm", "Pm", "Sm", "Sm", "Y", "Sc"], "fractional_positions": [[0.000, 0.756, 0.744], [0.000, 0.244, 0.256], [0.500, 0.745, 0.255], [0.500, 0.255, 0.745], [0.000, 0.000, 0.000], [0.500, 0.000, 0.500], [0.500, 0.500, 0.000], [0.000, 0.500, 0.500]]}

***

[6]
{"formula": "Cr3TcNi", "functional": "PBE", "state": "optimized geometry", "m_tot_mub_per_fu": 0.180, "e_form_ev_per_atom": 1.7193, "vol_a3_per_fu": 84, "polymorph_energy_ev_per_fu": 1.320, "cell": [[4.382, 0.000, 0.000], [0.000, 4.382, 0.000], [0.000, 0.000, 4.382]], "species": ["Ni", "Tc", "Cr", "Cr", "Cr"], "fractional_positions": [[0.500, 0.500, 0.500], [0.000, 0.000, 0.000], [0.000, 0.500, 0.000], [0.000, 0.000, 0.500], [0.500, 0.000, 0.000]]}

***

> Which formula does entry 5 have?

Pm4Sm2YSc

***

Please write out number 1 again, unchanged.
{"formula": "DySc2CdO", "functional": "PBE", "state": "optimized geometry", "m_tot_mub_per_fu": 0.000, "vol_a3_per_fu": 96, "raw_formation_energy_ev_per_atom": -1.3558, "cell": [[-0.457, 4.525, 1.253], [-3.912, 0.222, -2.228], [-2.196, -1.255, 3.731]], "species": ["Dy", "Sc", "Sc", "Cd", "O"], "fractional_positions": [[0.500, 0.000, 0.000], [0.000, 0.000, 0.500], [0.000, 0.500, 0.000], [0.500, 0.500, 0.500], [0.000, 0.000, 0.000]]}

----------